Leo Tolstoy on God

LEO TOLSTOY ON GOD: "When you look inside yourself, you see what is called 'your own self' or your soul. You cannot touch it or see it or understand it, but you know it is there. And this part of yourself--that which you cannot understand--is what is called God. God is both around us and inside of us--in our souls.

The more you understand that you are at one with God, the more you will understand that you are at one with all His worldly manifestations."

Tuesday, January 22, 2008

About Friendship and Money!

A friendship is always tested when it comes to money.
The way a person relates to his or her money tells
me a whole lot about that person's relationship
to his/her "spirit."

The easiest way to make friends is to spend money on them.
People love a giver!

I've always been the type that would rather give than
get things i.e. free things from people. My greatest
day is when I can give to a friend a gift that he or
she loves and wants or needs. Money is so easy to
replace; a friend isn't. So, while I'm having
a "season" of friendship with people, I tend to give to
the best of my ability.

It's easy for me to pick up the cost of a dinner for a
friend, or throw together a dinner party. (I don't do
"potlucks" either!)

Some people are aware of this nature within me, indeed,
my entire family, and they have taken advantage of that.
But as a family, we always recited together this old
philosophy that "he who steals my purse, steals trash!
'twas mine, 'tis his and has been slain for thousands. But
he, who filches from me, my good name, robs me of that which
not enriches him...but leaves me poor indeed."

So, I feel very sad and quickly distance myself
from people who always make a big deal out of money.
People who are always counting dimes, when they
have stashed dollars. People who never give a cent extra because they
are so conscious of lack! The greatest times of frustration
for me are when I'm in the presence of stingy people, those
who want "something for nothing," those who lack a sense
of prosperity. My greatest annoyances are with those
who week by week listen to some of the greatest metaphysicians
talk about having a "prosperity consciousness," and
"there's more than enough to go around," yet they
are the stingiest people around!

Which God are THEY serving?

There are some people who have shocked me with their generosity;
others who have disappointed me with their stinginess.

The truth is, yes, we must be practical about money. Don't spend more
than you have. But sometimes, people do need a helping hand. Sometimes,
even with their best efforts, honest, hard-working people do fall down!

The questions we must always ask ourselves at those times are these:

• Will you have a friend...a person you've shared secrets with for years...embraced for years as a friend...fall down because of a few dollars?

• Is losing a friendship, or gaining one, worth the price of a dinner?

If so, then go ahead and hold your purse tight.

Years from now, when you've saved enough, you may look around
your world.

You'll see.

Empty spaces that only a friend could have filled.

A long-time, childhood friend once told me what she was taught by her grandmother: "To Have a Friend, BE a Friend!"

Embrace your Spirit of Generosity!

Embrace your Abundance!

-- begin --
Record 1
Diffraction record for KTl4Bi. The XRD peak list is simulated, not measured: it uses a crystal structure in Alexandria, relaxed with GGA-PBE and copper Kα.
Peak positions follow from Bragg's law for the DFT cell and can differ from measured ones.

Structural model:
a b c (Å): 10.5770 4.5471 8.8657
angles (deg): 90.00 90.00 90.00
Space group Pmma (No. 51)
Asymmetric unit:
K 0.2500 0.0000 0.1499 x2
Tl 0.0000 0.0000 0.5000 x2
Tl 0.0310 0.5000 0.8050 x4
Tl 0.2500 0.5000 0.4759 x2
Bi 0.2500 0.0000 0.7535 x2

Largest 10 diffraction maxima, by angle, 15° ≤ 2θ ≤ 90°:
index, d (Å), Rel. int.
2 1 1, 3.213, 59
0 0 3, 2.955, 23
2 1 2, 2.722, 100
3 1 1, 2.658, 20
4 0 0, 2.644, 25
0 2 0, 2.274, 21
4 2 0, 1.724, 14
2 1 5, 1.577, 13
6 1 2, 1.541, 12
2 3 2, 1.384, 13


Record 2
Diffraction record for Li4Cu11. The XRD peak list is simulated, not measured: it uses a crystal structure in Alexandria, relaxed with GGA-PBE and copper Kα.
Peak positions follow from Bragg's law for the DFT cell and can differ from measured ones.

Structural model:
a b c (Å): 8.9540 8.9540 4.7301
angles (deg): 90.00 90.00 90.00
Space group P4_2/mnm (No. 136)
Asymmetric unit:
Li 0.0432 0.3604 0.0000 x8
Cu 0.0000 0.0000 0.5000 x2
Cu 0.0708 0.2614 0.5000 x8
Cu 0.0958 0.0958 0.0000 x4
Cu 0.1796 0.8204 0.2496 x8

Largest 10 diffraction maxima, by angle, 15° ≤ 2θ ≤ 90°:
index, d (Å), Rel. int.
2 1 1, 3.056, 21
2 2 1, 2.631, 16
4 1 0, 2.172, 95
3 3 0, 2.110, 28
2 0 2, 2.091, 26
2 1 2, 2.036, 100
4 1 1, 1.974, 56
3 3 1, 1.927, 50
3 1 2, 1.815, 18
6 0 2, 1.262, 31


Please write out number 2 again, unchanged.
Diffraction record for Li4Cu11. The XRD peak list is simulated, not measured: it uses a crystal structure in Alexandria, relaxed with GGA-PBE and copper Kα.
Peak positions follow from Bragg's law for the DFT cell and can differ from measured ones.

Structural model:
a b c (Å): 8.9540 8.9540 4.7301
angles (deg): 90.00 90.00 90.00
Space group P4_2/mnm (No. 136)
Asymmetric unit:
Li 0.0432 0.3604 0.0000 x8
Cu 0.0000 0.0000 0.5000 x2
Cu 0.0708 0.2614 0.5000 x8
Cu 0.0958 0.0958 0.0000 x4
Cu 0.1796 0.8204 0.2496 x8

Largest 10 diffraction maxima, by angle, 15° ≤ 2θ ≤ 90°:
index, d (Å), Rel. int.
2 1 1, 3.056, 21
2 2 1, 2.631, 16
4 1 0, 2.172, 95
3 3 0, 2.110, 28
2 0 2, 2.091, 26
2 1 2, 2.036, 100
4 1 1, 1.974, 56
3 3 1, 1.927, 50
3 1 2, 1.815, 18
6 0 2, 1.262, 31
-- stop --
So much for the records of crystals =

There REALLY is Always ENOUGH to go around!

Embrace your friends with your GIVING Spirit!




Unknown said...

Hi Che'! It's Jeneen! I don't know what happened but I haven't been receiving your blogs lately until today...and I've missed out on alot of your wisdom.

I wanted to say, Thank YOU! This is a powerful message. You truly practice what you preach! It meant so much to me for you to have supported me by buying my Ask. Believe. Receive. pendant. As you expressed, I've encounred alot of "spiritual" people who expected my jewelry to be given to them for free or close to nothing. And because I have abundance consciousness, I don't give away anything that I hold of great value for myself and others, for free. That is not the message I want to send out to The Universe for myself or for others.

Thanks again for reminding us, especially me, to stay focused on the abundance rather than the lack.

Peace, Love and Abundant Blessings,

Che' Vyfhuis said...

Thanks for your participation!

If you haven't read the blog on "Hardship and Hard Times," then I recommend you read it. It'll tell you about friendships. Friends are in your life: for a reason, a season or a lifetime! I've had to leave behind so many friends as I grew spiriutally because they did not have my consciousness. Then you realize, it was time to let them go!

I PROUDLY WEAR your necklace and for the value I'm getting...it was very, very inexpensive!

Jewelry like yours: Ask, Believe and Receive don't come very often!!! Especially at such a low price.


Personal Authenticity: "To Thine Own Self Be True"...

"To Thine Own Self Be True and it must follow as the night, the day, Thou canst not then be false to ANY man."
William Shakespeare.